== Assignment ==
Now duplicate everything below unchanged.
== Entries ==
Record 1
# Ba3In2MoO9

A relaxed structure of Ba3In2MoO9 (PBEsol, the Alexandria database).

CIF file:
```
data_Ba3In2MoO9
_chemical_formula_sum 'Ba3 In2 Mo1 O9'
_cell_length_a 5.8760
_cell_length_b 5.8760
_cell_length_c 7.1886
_cell_angle_alpha 90.00
_cell_angle_beta 90.00
_cell_angle_gamma 120.00
_symmetry_space_group_name_H-M 'P -3 m 1'
_symmetry_Int_Tables_number 164
_symmetry_space_group_name_Hall '-P 3 2"'
loop_
_atom_site_label
_atom_site_type_symbol
_atom_site_fract_x
_atom_site_fract_y
_atom_site_fract_z
Ba1 Ba 0.0000 0.0000 0.0000
Ba2 Ba 0.3333 0.6667 0.6865
In1 In 0.3333 0.6667 0.1688
Mo1 Mo 0.0000 0.0000 0.5000
O1 O 0.0000 0.5000 0.0000
O2 O 0.1552 0.3104 0.3480
```

Its calculated volume is 214.9 Å³/cell. The density of states at the Fermi level is 0.000 states/eV per atom. The calculation puts the final energy at -0.51861 Ry/atom.


Record 2
# Ca2AlIn

A relaxed structure of Ca2AlIn (PBEsol, the Alexandria database).

CIF file:
```
data_Ca2AlIn
_chemical_formula_sum 'Ca8 Al4 In4'
_cell_length_a 7.457
_cell_length_b 7.457
_cell_length_c 7.457
_cell_angle_alpha 90.00
_cell_angle_beta 90.00
_cell_angle_gamma 90.00
_symmetry_space_group_name_H-M 'F m -3 m'
_symmetry_Int_Tables_number 225
_symmetry_space_group_name_Hall '-F 4 2 3'
loop_
_atom_site_label
_atom_site_type_symbol
_atom_site_fract_x
_atom_site_fract_y
_atom_site_fract_z
Ca1 Ca 0.250 0.250 0.250
Al1 Al 0.000 0.000 0.000
In1 In 0.000 0.000 0.500
```

For the formation energy, the calculation gives -1.388 eV/f.u. Its calculated volume is 414.7 Å³/cell. The density of states at the Fermi level is 0.474 states/eV per atom. The calculation puts the final energy at -0.23389 Ry/atom. The offset from the most stable computed form comes out at 0.0 meV/atom.


Record 3
# Tl3Zn

A relaxed structure of Tl3Zn (PBEsol, the Alexandria database).

CIF file:
```
data_Tl3Zn
_chemical_formula_sum 'Tl9 Zn3'
_cell_length_a 10.2973
_cell_length_b 10.2973
_cell_length_c 3.3441
_cell_angle_alpha 90.00
_cell_angle_beta 90.00
_cell_angle_gamma 120.00
_symmetry_space_group_name_H-M 'R -3 m'
_symmetry_Int_Tables_number 166
_symmetry_space_group_name_Hall '-R 3 2"'
loop_
_atom_site_label
_atom_site_type_symbol
_atom_site_fract_x
_atom_site_fract_y
_atom_site_fract_z
Tl1 Tl 0.0000 0.5000 0.0000
Zn1 Zn 0.0000 0.0000 0.0000
```

For the formation energy, the calculation gives 0.660 eV/f.u. Its calculated volume is 307.1 Å³/cell. The density of states at the Fermi level is 0.433 states/eV per atom. The calculation puts the final energy at -0.16192 Ry/atom.


Record 4
# Re2SbOs

A relaxed structure of Re2SbOs (PBEsol, the Alexandria database).

CIF file:
```
data_Re2SbOs
_chemical_formula_sum 'Re4 Sb2 Os2'
_cell_length_a 4.109
_cell_length_b 2.847
_cell_length_c 10.826
_cell_angle_alpha 90.00
_cell_angle_beta 90.00
_cell_angle_gamma 90.00
_symmetry_space_group_name_H-M 'A m m 2'
_symmetry_Int_Tables_number 38
loop_
_symmetry_equiv_pos_as_xyz
'x,y,z'
'-x,-y,z'
'-x,y,z'
'x,-y,z'
'x,y+1/2,z+1/2'
'-x,-y+1/2,z+1/2'
'-x,y+1/2,z+1/2'
'x,-y+1/2,z+1/2'
loop_
_atom_site_label
_atom_site_type_symbol
_atom_site_fract_x
_atom_site_fract_y
_atom_site_fract_z
Re1 Re 0.000 0.000 0.000
Re2 Re 0.500 0.000 0.369
Sb1 Sb 0.000 0.000 0.754
Os1 Os 0.500 0.000 0.606
```

Its calculated volume is 126.6 Å³/cell. The density of states at the Fermi level is 0.679 states/eV per atom. The calculation puts the final energy at -0.75976 Ry/atom.


- Which value of final energy does entry 2 give?
  -0.23389 Ry/atom


- The highest calculated volume belongs to which entry?
  Ca2AlIn


- Which of these has the lowest calculated volume?
  Re2SbOs

~~~~~

CaTbPr2Se5 | PBE | relaxed

```
9
Lattice="5.168 0.000 0.000 0.000 5.168 0.000 0.000 0.000 10.784" Properties=species:S:1:pos:R:3 pbc="T T T"
Ca 0.000 0.000 0.000
Tb 0.000 0.000 5.392
Pr 2.584 2.584 3.188
Pr 2.584 2.584 7.595
Se 0.000 2.584 5.392
Se 2.584 0.000 5.392
Se 0.000 0.000 8.137
Se 0.000 0.000 2.646
Se 2.584 2.584 0.000
```

Values from the calculation:
== Reply ==
Record 1
# Ba3In2MoO9

A relaxed structure of Ba3In2MoO9 (PBEsol, the Alexandria database).

CIF file:
```
data_Ba3In2MoO9
_chemical_formula_sum 'Ba3 In2 Mo1 O9'
_cell_length_a 5.8760
_cell_length_b 5.8760
_cell_length_c 7.1886
_cell_angle_alpha 90.00
_cell_angle_beta 90.00
_cell_angle_gamma 120.00
_symmetry_space_group_name_H-M 'P -3 m 1'
_symmetry_Int_Tables_number 164
_symmetry_space_group_name_Hall '-P 3 2"'
loop_
_atom_site_label
_atom_site_type_symbol
_atom_site_fract_x
_atom_site_fract_y
_atom_site_fract_z
Ba1 Ba 0.0000 0.0000 0.0000
Ba2 Ba 0.3333 0.6667 0.6865
In1 In 0.3333 0.6667 0.1688
Mo1 Mo 0.0000 0.0000 0.5000
O1 O 0.0000 0.5000 0.0000
O2 O 0.1552 0.3104 0.3480
```

Its calculated volume is 214.9 Å³/cell. The density of states at the Fermi level is 0.000 states/eV per atom. The calculation puts the final energy at -0.51861 Ry/atom.


Record 2
# Ca2AlIn

A relaxed structure of Ca2AlIn (PBEsol, the Alexandria database).

CIF file:
```
data_Ca2AlIn
_chemical_formula_sum 'Ca8 Al4 In4'
_cell_length_a 7.457
_cell_length_b 7.457
_cell_length_c 7.457
_cell_angle_alpha 90.00
_cell_angle_beta 90.00
_cell_angle_gamma 90.00
_symmetry_space_group_name_H-M 'F m -3 m'
_symmetry_Int_Tables_number 225
_symmetry_space_group_name_Hall '-F 4 2 3'
loop_
_atom_site_label
_atom_site_type_symbol
_atom_site_fract_x
_atom_site_fract_y
_atom_site_fract_z
Ca1 Ca 0.250 0.250 0.250
Al1 Al 0.000 0.000 0.000
In1 In 0.000 0.000 0.500
```

For the formation energy, the calculation gives -1.388 eV/f.u. Its calculated volume is 414.7 Å³/cell. The density of states at the Fermi level is 0.474 states/eV per atom. The calculation puts the final energy at -0.23389 Ry/atom. The offset from the most stable computed form comes out at 0.0 meV/atom.


Record 3
# Tl3Zn

A relaxed structure of Tl3Zn (PBEsol, the Alexandria database).

CIF file:
```
data_Tl3Zn
_chemical_formula_sum 'Tl9 Zn3'
_cell_length_a 10.2973
_cell_length_b 10.2973
_cell_length_c 3.3441
_cell_angle_alpha 90.00
_cell_angle_beta 90.00
_cell_angle_gamma 120.00
_symmetry_space_group_name_H-M 'R -3 m'
_symmetry_Int_Tables_number 166
_symmetry_space_group_name_Hall '-R 3 2"'
loop_
_atom_site_label
_atom_site_type_symbol
_atom_site_fract_x
_atom_site_fract_y
_atom_site_fract_z
Tl1 Tl 0.0000 0.5000 0.0000
Zn1 Zn 0.0000 0.0000 0.0000
```

For the formation energy, the calculation gives 0.660 eV/f.u. Its calculated volume is 307.1 Å³/cell. The density of states at the Fermi level is 0.433 states/eV per atom. The calculation puts the final energy at -0.16192 Ry/atom.


Record 4
# Re2SbOs

A relaxed structure of Re2SbOs (PBEsol, the Alexandria database).

CIF file:
```
data_Re2SbOs
_chemical_formula_sum 'Re4 Sb2 Os2'
_cell_length_a 4.109
_cell_length_b 2.847
_cell_length_c 10.826
_cell_angle_alpha 90.00
_cell_angle_beta 90.00
_cell_angle_gamma 90.00
_symmetry_space_group_name_H-M 'A m m 2'
_symmetry_Int_Tables_number 38
loop_
_symmetry_equiv_pos_as_xyz
'x,y,z'
'-x,-y,z'
'-x,y,z'
'x,-y,z'
'x,y+1/2,z+1/2'
'-x,-y+1/2,z+1/2'
'-x,y+1/2,z+1/2'
'x,-y+1/2,z+1/2'
loop_
_atom_site_label
_atom_site_type_symbol
_atom_site_fract_x
_atom_site_fract_y
_atom_site_fract_z
Re1 Re 0.000 0.000 0.000
Re2 Re 0.500 0.000 0.369
Sb1 Sb 0.000 0.000 0.754
Os1 Os 0.500 0.000 0.606
```

Its calculated volume is 126.6 Å³/cell. The density of states at the Fermi level is 0.679 states/eV per atom. The calculation puts the final energy at -0.75976 Ry/atom.


- Which value of final energy does entry 2 give?
  -0.23389 Ry/atom


- The highest calculated volume belongs to which entry?
  Ca2AlIn


- Which of these has the lowest calculated volume?
  Re2SbOs

~~~~~

CaTbPr2Se5 | PBE | relaxed

```
9
Lattice="5.168 0.000 0.000 0.000 5.168 0.000 0.000 0.000 10.784" Properties=species:S:1:pos:R:3 pbc="T T T"
Ca 0.000 0.000 0.000
Tb 0.000 0.000 5.392
Pr 2.584 2.584 3.188
Pr 2.584 2.584 7.595
Se 0.000 2.584 5.392
Se 2.584 0.000 5.392
Se 0.000 0.000 8.137
Se 0.000 0.000 2.646
Se 2.584 2.584 0.000
```

Values from the calculation: